Celebrating SDG Flag Day 2023 – where are we now?

25.9.2023 | News item

On the 25th of September, HEUNI is celebrating the Sustainable Development Goals (SDGs) Flag Day 2023! In 2015, UN Member states adopted 17 SDGs as part of the 2030 Agenda for Sustainable Development. These goals will continue to guide global sustainable development until 2030. We are at the mid-way point this year, with eight years behind us and eight more ahead. It is a good time to evaluate where we stand with the Sustainable Development Goals.

SDG and UN logo

There have been successes and moments of progress around the world that we can celebrate. One of these was the global increase in companies reporting on their sustainability factors, including CO2 emissions and occupational health (2023 SDG report, pp37). In recent years, the highest volume of reports has been published in Eastern Asia, Europe and North America (2023 SDG report, pp37). Another success was the increase in stations tracking ocean acidification around the world, from 178 stations in 2021 to 539 in 2023 (2023 SDG report, pp41). This allows for more robust environmental data collection and will hopefully impact local and global responses to climate change.

Nonetheless, many goals have seen inadequate progress. The social, political and ecological landscape that we have entered this decade has played a part in slowing down our progress. A continuing climate crisis, political instability and the erosion of democracy, the eruption of large-scale conflicts, the fast-paced development of artificial intelligence, as well as the Covid-19 pandemic have contributed to a more complex, volatile and in many respects, dangerous, global landscape. In these conditions, working harder to reach equitable, just, and sustainable societies is more urgent than ever before.

HEUNI’s qualitative research projects, specifically relating to trafficking, gender-based violence, and corruption, support multiple SDGs. Let’s take a look at how our work is advancing three of these goals in particular. 

Goal 5: Achieve gender equality and empower all women and girls

HEUNI has a long history of researching gender-based violence and contributing to the elimination of violence against women and girls as well as trafficking (goal 5.2) and the elimination of harmful practices, such as forced marriage (goal 5.3) (HEUNI 2020-2023 strategy, pp5).

Our CERV-funded EASY project (‘It is never easy to talk about this’ – Increasing dialogue, awareness, and victim-centred support for victims of forced marriages) contributes to gender-sensitive and victim-centred support for victims of forced marriages. This project supports Goal 5, Gender Equality. Many victims of forced marriages are girls and young women, who do not have access to adequate support. Through this project, we will strengthen community engagement and dialogue, as well as increase the capacity of professionals to identify and address forced marriages.

Read about the Director of HEUNI, Natalia Ollus’, perspectives on HEUNI’s gender-based violence research here.

Listen to our podcast series "Speak up! Your mess will become your message, where migrant women discuss gender-based violence":

Goal 8: Promote sustained, inclusive and sustainable economic growth, full and productive employment and decent work for all

HEUNI has a strong expertise in the fields of labour exploitation, labour trafficking, and corporate crime. We work in particular towards the eradication of forced labour and trafficking (goal 8.7) and the promotion of access to rights for migrant workers (goal 8.8) . Everyone should have the right to fair and safe working environments. However, at this moment migrants face a higher risk of labour exploitation, as well as more difficulties in accessing justice. Our recently launched project ‘Safety for all? Remedy for exploited migrant workers in the Nordic region’ supports Goal 8. This project will pave the way for more ethical working conditions for migrant workers in Finland, Norway and Sweden, and will play a part in building more ethical industries and economies in the Nordic and Baltic Sea region by 2030.

What comes next are data records, not part of the entry:
........
# 1
Compound: U5ClO12
Source: the Materials Project database
Functional: PBE-GGA
Structure: optimized geometry

Formation energy: -3594 meV per atom
SG: No. 51
E_tot: -9.67 eV/atom

Cell lengths 19.826, 4.165, 7.154 Å; angles 90.00, 90.00, 90.00 degrees
Fractional coordinates of all 36 atoms:
U 0.070 0.000 0.168
U 0.146 0.000 0.713
U 0.250 0.000 0.261
U 0.354 0.000 0.713
U 0.430 0.000 0.168
U 0.570 0.000 0.832
U 0.646 0.000 0.287
U 0.750 0.000 0.739
U 0.854 0.000 0.287
U 0.930 0.000 0.832
Cl 0.000 0.000 0.500
Cl 0.500 0.000 0.500
O 0.049 0.000 0.875
O 0.070 0.500 0.175
O 0.145 0.000 0.396
O 0.145 0.500 0.713
O 0.171 0.000 0.026
O 0.250 0.000 0.627
O 0.250 0.500 0.268
O 0.329 0.000 0.026
O 0.355 0.000 0.396
O 0.355 0.500 0.713
O 0.430 0.500 0.175
O 0.451 0.000 0.875
O 0.549 0.000 0.125
O 0.570 0.500 0.825
O 0.645 0.000 0.604
O 0.645 0.500 0.287
O 0.671 0.000 0.974
O 0.750 0.000 0.373
O 0.750 0.500 0.732
O 0.829 0.000 0.974
O 0.855 0.000 0.604
O 0.855 0.500 0.287
O 0.930 0.500 0.825
O 0.951 0.000 0.125


# 2
Compound: U2ClO9
Source: the Materials Project database
Functional: PBE-GGA
Structure: optimized geometry

Formation energy: -1822 meV per atom
SG: No. 14
E_tot: -7.05 eV/atom

Cell lengths 9.871, 10.044, 12.438 Å; angles 90.00, 120.60, 90.00 degrees
Fractional coordinates of all 48 atoms:
U 0.023 0.066 0.364
U 0.023 0.434 0.864
U 0.365 0.627 0.097
U 0.365 0.873 0.597
U 0.635 0.127 0.403
U 0.635 0.373 0.903
U 0.977 0.566 0.136
U 0.977 0.934 0.636
Cl 0.270 0.703 0.277
Cl 0.270 0.797 0.777
Cl 0.730 0.203 0.223
Cl 0.730 0.297 0.723
O 0.049 0.128 0.234
O 0.049 0.372 0.734
O 0.082 0.084 0.719
O 0.082 0.416 0.219
O 0.119 0.211 0.463
O 0.119 0.289 0.963
O 0.124 0.561 0.045
O 0.124 0.939 0.545
O 0.263 0.524 0.930
O 0.263 0.976 0.430
O 0.307 0.699 0.556
O 0.307 0.801 0.056
O 0.430 0.217 0.224
O 0.430 0.283 0.724
O 0.441 0.030 0.685
O 0.441 0.470 0.185
O 0.443 0.158 0.413
O 0.443 0.342 0.913
O 0.557 0.658 0.087
O 0.557 0.842 0.587
O 0.559 0.530 0.815
O 0.559 0.970 0.315
O 0.570 0.717 0.276
O 0.570 0.783 0.776
O 0.693 0.199 0.944
O 0.693 0.301 0.444
O 0.737 0.024 0.570
O 0.737 0.476 0.070
O 0.876 0.061 0.455
O 0.876 0.439 0.955
O 0.881 0.711 0.037
O 0.881 0.789 0.537
O 0.918 0.584 0.781
O 0.918 0.916 0.281
O 0.951 0.628 0.266
O 0.951 0.872 0.766


> Which formula does entry 2 have?

U2ClO9


> What is the E_tot in the first record?

-9.67 eV/atom

=====

A plane-wave DFT calculation with PBE was carried out for a relaxed structure of VN2Cl6.

```
data_VN2Cl6
_cell_length_a 9.719
_cell_length_b 9.719
_cell_length_c 9.719
_cell_angle_alpha 90.00
_cell_angle_beta 90.00
_cell_angle_gamma 90.00
_symmetry_space_group_name_H-M 'F m -3 m'
_symmetry_Int_Tables_number 225
_symmetry_space_group_name_Hall '-F 4 2 3'
loop_
_atom_site_label
_atom_site_fract_x
_atom_site_fract_y
_atom_site_fract_z
V1 0.000 0.000 0.000
N1 0.250 0.250 0.250
Cl1 0.000 0.000 0.232
```

Computed properties:
Crystal system   cubic

=====
........

Goal 16: Promote peaceful and inclusive societies for sustainable development, provide access to justice for all and build effective, accountable and inclusive institutions at all levels

Between two parts of the page: crystal structures.
........
<one>
Compound: NaV5O8
Source: the Materials Project database
Functional: PBE+U
Structure: relaxed

Results
- volume (Å³/cell) = 646.84
- largest piezoelectric modulus (C/m2) = 0.000
- SG = No. 212

Cell and atoms, written as extended XYZ:
```
56
Lattice="8.648 0.000 0.000 0.000 8.648 0.000 0.000 0.000 8.648" Properties=species:S:1:pos:R:3 pbc="T T T"
Na 1.081 1.081 1.081
Na 3.243 7.567 5.405
Na 5.405 3.243 7.567
Na 7.567 5.405 3.243
V 8.646 0.002 4.326
V 0.002 4.326 8.646
V 1.075 3.243 3.237
V 1.081 5.411 5.399
V 1.087 7.573 7.567
V 2.160 2.164 6.484
V 2.164 6.484 2.160
V 3.237 1.075 3.243
V 3.243 3.237 1.075
V 3.249 5.405 7.562
V 4.326 8.646 0.002
V 4.322 4.322 4.322
V 5.399 1.081 5.411
V 5.405 7.562 3.249
V 5.411 5.399 1.081
V 6.484 2.160 2.164
V 6.488 6.488 6.488
V 7.562 3.249 5.405
V 7.567 1.087 7.573
V 7.573 7.567 1.087
O 0.934 7.427 0.989
O 0.941 7.421 5.497
O 0.989 0.934 7.427
O 0.997 3.327 5.321
O 1.165 5.489 7.483
O 1.173 3.383 1.228
O 1.221 5.313 3.390
O 1.228 1.173 3.383
O 3.096 7.476 7.707
O 3.103 3.335 7.714
O 3.151 5.265 5.552
O 3.159 3.159 3.159
O 3.327 5.321 0.997
O 3.335 7.714 3.103
O 3.383 1.228 1.173
O 3.390 1.221 5.313
O 5.258 5.545 7.659
O 5.265 5.552 3.151
O 5.313 3.390 1.221
O 5.321 0.997 3.327
O 5.489 7.483 1.165
O 5.497 0.941 7.421
O 5.545 7.659 5.258
O 5.552 3.151 5.265
O 7.421 5.497 0.941
O 7.427 0.989 0.934
O 7.476 7.707 3.096
O 7.483 1.165 5.489
O 7.651 7.651 7.651
O 7.659 5.258 5.545
O 7.707 3.096 7.476
O 7.714 3.103 3.335
```

---

<two>
Compound: NaV5O8
Source: the Materials Project database
Functional: PBE+U
Structure: relaxed

Results
- volume (Å³/cell) = 165.49
- SG = No. 1

Cell and atoms, written as extended XYZ:
```
14
Lattice="3.001 0.000 0.000 -1.452 5.338 0.000 -0.192 -2.433 10.331" Properties=species:S:1:pos:R:3 pbc="T T T"
Na 0.000 0.000 0.000
V -0.075 1.611 3.811
V -0.127 0.412 9.019
V 1.453 2.504 1.323
V 1.391 1.281 6.542
V 2.889 -1.216 5.169
O -0.091 1.282 1.900
O -0.115 -0.004 6.917
O 0.043 3.640 0.664
O -0.071 2.615 5.683
O 1.393 0.296 4.630
O 1.351 -0.712 9.791
O 1.430 2.900 3.377
O 1.383 1.640 8.432
```

---

<three>
Compound: NaV5O8
Source: the Materials Project database
Functional: PBE+U
Structure: relaxed

Results
- volume (Å³/cell) = 329.52

Cell and atoms, written as extended XYZ:
```
28
Lattice="0.000 3.058 0.000 -7.731 -1.529 0.110 3.881 1.529 13.883" Properties=species:S:1:pos:R:3 pbc="T T T"
O -3.912 0.000 9.645
O -1.128 1.529 13.825
O -1.987 0.000 2.649
O -7.142 0.000 2.201
O -1.863 3.058 11.345
O -4.647 1.529 7.165
O -2.514 1.529 4.906
O -2.721 1.529 0.169
O 1.553 3.058 9.439
O -5.403 0.000 4.554
O -4.254 1.529 2.553
O 0.404 1.529 11.441
O 3.292 3.058 11.792
O 0.796 1.529 6.828
O 0.062 3.058 4.348
O -1.335 1.529 9.088
V -3.443 0.000 1.220
V -6.180 1.529 3.077
V 1.518 3.058 5.777
V -0.406 3.058 12.774
V -0.374 3.058 9.964
V -5.369 0.000 8.216
V -2.887 1.529 10.495
V -3.476 0.000 4.030
V 2.330 1.529 10.916
V -0.962 1.529 3.498
Na -3.850 0.000 13.993
Na -1.925 0.000 6.997
```

---
........
Back to the page.

Justice continues to be one of the core values at HEUNI. Many of our projects focus on victims of crime, on how we can build better support systems for them, as well as on how current institutions should become more just, victim-centred, and accountable. More specifically, we are working towards reducing violence (goal 16.1) as well as violence against children, including child trafficking (goal 16.2), the promotion of the rule of law (goal 16.3), addressing illicit financial flows and corruption (goals 16.4 and 16.5), and strengthening access to justice and procedural justice (goals 16.7 and 16.a) .

Our recently finalised ‘ELECT-THB – Enhanced Law Enforcement Cooperation and Training on Trafficking in Human Beings’ focused on untangling the human trafficking chain in Finland, Estonia and Latvia. In the project, concrete suggestions on combating human trafficking were proposed for the Finnish police, the Finnish Border Guard, labour inspectors, the Finnish Tax Administration, as well as other groups and organisations. This project advances Goal 16, as it has a strong impact on institutions of different scales and sizes.

Watch the full video series on ELECT-THB here.

For the next eight years and beyond, HEUNI will continue to carry out ground-breaking research to influence policies concerning the prevention of crime and crime control. We are always looking for ways to contribute towards the achievement of peace, justice and strong institutions in line with the 2030 Agenda for Sustainable Development.

Find more resources here:

HEUNI strategy 2020–2023
The Sustainable Development Goals Report, Special Edition 2023
SDG indicators

Emma de Carvalho